Entries:
Record 1
The following is a DFT calculation (wB97M-V/def2-TZVPD) of a 2-piece molecular cluster, C4H12NO overall.

Computed properties:
Total charge: +1
Gap between HOMO and LUMO (eV): 5.82
Relative energy (zero: lowest compared OMol25 entry of this formula, charge and spin) (kcal per mole): 133.90
HOMO energy (eV): -14.39
LUMO (eV): -8.57

Last column: Mulliken charge in e.
Element x y z (Å)
C -1.141 -1.005 0.908  -1.08
C -0.457 -0.959 -0.466  -0.47
C -0.528 0.495 -1.028  0.37
C -1.670 1.290 -0.677  -0.57
N 0.615 1.184 -0.364  -0.58
H -1.308 -2.028 1.329  0.33
H -1.953 -0.358 0.786  0.40
H -0.290 -0.561 1.515  0.32
H -0.996 -1.514 -1.247  0.40
H 0.632 -1.194 -0.464  0.29
H -1.462 2.361 -0.525  0.38
H -2.613 1.090 -1.196  0.30
H -0.328 0.454 -2.166  0.45
H 0.045 1.697 0.344  0.20
H 0.877 1.975 -0.909  0.28
H 2.526 -0.368 0.540  0.30
H 3.364 -0.886 1.699  0.31
O 2.497 -0.985 1.303  -0.62

=====

Record 2
The following is a DFT calculation (wB97M-V/def2-TZVPD) of C7H12O as an isolated structure.

Computed properties:
Gap between HOMO and LUMO (eV): 10.25
Relative energy (zero: lowest compared OMol25 entry of this formula, charge and spin) (kcal per mole): 161.61
HOMO energy (eV): -9.51
LUMO (eV): 0.75

Last column: Mulliken charge in e.
Element x y z (Å)
C -1.937 -1.236 0.043  -1.26
C -0.440 -0.600 0.216  0.26
C 0.794 -1.293 -0.242  -0.84
C 1.901 -0.456 0.328  -0.44
C 1.322 0.873 -0.056  -1.02
C -0.019 0.729 0.546  1.40
C -0.947 1.870 -0.112  -0.87
H -1.979 -2.380 0.470  0.29
H -2.605 -0.499 0.390  0.42
H -2.109 -1.031 -1.182  0.29
H 0.985 -1.526 -1.482  0.20
H 0.870 -2.508 -0.179  0.30
H 3.062 -0.790 0.080  0.29
H 1.918 -0.400 1.526  0.21
H 1.770 1.920 0.228  0.28
H 1.292 0.904 -1.264  0.34
H -0.218 2.529 -1.103  0.26
H -1.309 2.661 0.764  0.28
H -2.151 1.280 -0.633  0.20
O -0.199 -0.047 1.662  -0.60

=====

Record 3
The following is a DFT calculation (wB97M-V/def2-TZVPD) of an isolated molecule of C3H9NO.

Computed properties:
SMILES: C[C@H](N)CO
Gap between HOMO and LUMO (eV): 10.10
Relative energy (zero: lowest compared OMol25 entry of this formula, charge and spin) (kcal per mole): 21.43
HOMO energy (eV): -9.18
LUMO (eV): 0.92

Last column: Mulliken charge in e.
Element x y z (Å)
C -0.675 1.432 0.094  -1.26
C -0.473 -0.022 -0.315  0.60
C 0.794 -0.606 0.333  -0.74
H -1.058 1.534 1.123  0.33
H -1.417 1.896 -0.575  0.31
H 0.337 1.932 0.041  0.32
H -0.312 -0.106 -1.424  0.23
H -1.887 -0.924 0.945  0.24
H -1.623 -1.737 -0.469  0.25
H 0.913 -1.684 0.142  0.33
H 0.811 -0.514 1.427  0.28
H 2.195 -0.237 -1.003  0.32
N -1.671 -0.784 -0.059  -0.68
O 1.982 0.063 -0.059  -0.53

=====

Record 4
The following is a DFT calculation (wB97M-V/def2-TZVPD) of a 5-piece molecular cluster, H8IO4 overall.

Computed properties:
Total charge: -1
Gap between HOMO and LUMO (eV): 8.08
Relative energy (zero: lowest compared OMol25 entry of this formula, charge and spin) (kcal per mole): 7.09
HOMO energy (eV): -4.62
LUMO (eV): 3.46

Last column: Mulliken charge in e.
Element x y z (Å)
I -0.936 0.521 0.180  -0.72
O 1.144 -2.454 -0.915  -0.62
H 0.659 -1.639 -1.045  0.28
H 2.063 -2.187 -0.898  0.29
O 0.468 1.235 3.256  -0.62
H -0.155 0.709 2.755  0.26
H 0.345 2.127 2.931  0.32
O 1.626 3.048 -0.811  -0.64
H 1.836 2.730 -1.689  0.30
H 1.102 2.349 -0.421  0.24
O -3.086 -2.185 -1.239  -0.65
H -2.345 -2.765 -1.413  0.32
H -2.723 -1.489 -0.691  0.24

=====

Record 5
The following is a DFT calculation (wB97M-V/def2-TZVPD) of an isolated ion of composition C5H9N and charge +1.

Computed properties:
2S+1: 2
Total charge: +1
Gap between HOMO and LUMO (spin up / spin down) (eV): 7.57 / 8.14
Relative energy (zero: lowest compared OMol25 entry of this formula, charge and spin) (kcal per mole): 72.19
HOMO energy (spin up / spin down) (eV): -14.34 / -15.16
LUMO (spin up / spin down) (eV): -6.77 / -7.01

Last column: Mulliken charge in e.
Element x y z (Å)
C -2.230 0.073 0.585  -0.84
N -0.837 0.297 0.765  -0.34
C -0.070 0.072 -0.296  0.93
C -0.387 -0.372 -1.613  -0.73

Exercise:
It remains to start at the top of the calculation results earlier on and set down each line, ending with the one that has "-2.723 -1.489".

Response:
Record 1
The following is a DFT calculation (wB97M-V/def2-TZVPD) of a 2-piece molecular cluster, C4H12NO overall.

Computed properties:
Total charge: +1
Gap between HOMO and LUMO (eV): 5.82
Relative energy (zero: lowest compared OMol25 entry of this formula, charge and spin) (kcal per mole): 133.90
HOMO energy (eV): -14.39
LUMO (eV): -8.57

Last column: Mulliken charge in e.
Element x y z (Å)
C -1.141 -1.005 0.908  -1.08
C -0.457 -0.959 -0.466  -0.47
C -0.528 0.495 -1.028  0.37
C -1.670 1.290 -0.677  -0.57
N 0.615 1.184 -0.364  -0.58
H -1.308 -2.028 1.329  0.33
H -1.953 -0.358 0.786  0.40
H -0.290 -0.561 1.515  0.32
H -0.996 -1.514 -1.247  0.40
H 0.632 -1.194 -0.464  0.29
H -1.462 2.361 -0.525  0.38
H -2.613 1.090 -1.196  0.30
H -0.328 0.454 -2.166  0.45
H 0.045 1.697 0.344  0.20
H 0.877 1.975 -0.909  0.28
H 2.526 -0.368 0.540  0.30
H 3.364 -0.886 1.699  0.31
O 2.497 -0.985 1.303  -0.62

=====

Record 2
The following is a DFT calculation (wB97M-V/def2-TZVPD) of C7H12O as an isolated structure.

Computed properties:
Gap between HOMO and LUMO (eV): 10.25
Relative energy (zero: lowest compared OMol25 entry of this formula, charge and spin) (kcal per mole): 161.61
HOMO energy (eV): -9.51
LUMO (eV): 0.75

Last column: Mulliken charge in e.
Element x y z (Å)
C -1.937 -1.236 0.043  -1.26
C -0.440 -0.600 0.216  0.26
C 0.794 -1.293 -0.242  -0.84
C 1.901 -0.456 0.328  -0.44
C 1.322 0.873 -0.056  -1.02
C -0.019 0.729 0.546  1.40
C -0.947 1.870 -0.112  -0.87
H -1.979 -2.380 0.470  0.29
H -2.605 -0.499 0.390  0.42
H -2.109 -1.031 -1.182  0.29
H 0.985 -1.526 -1.482  0.20
H 0.870 -2.508 -0.179  0.30
H 3.062 -0.790 0.080  0.29
H 1.918 -0.400 1.526  0.21
H 1.770 1.920 0.228  0.28
H 1.292 0.904 -1.264  0.34
H -0.218 2.529 -1.103  0.26
H -1.309 2.661 0.764  0.28
H -2.151 1.280 -0.633  0.20
O -0.199 -0.047 1.662  -0.60

=====

Record 3
The following is a DFT calculation (wB97M-V/def2-TZVPD) of an isolated molecule of C3H9NO.

Computed properties:
SMILES: C[C@H](N)CO
Gap between HOMO and LUMO (eV): 10.10
Relative energy (zero: lowest compared OMol25 entry of this formula, charge and spin) (kcal per mole): 21.43
HOMO energy (eV): -9.18
LUMO (eV): 0.92

Last column: Mulliken charge in e.
Element x y z (Å)
C -0.675 1.432 0.094  -1.26
C -0.473 -0.022 -0.315  0.60
C 0.794 -0.606 0.333  -0.74
H -1.058 1.534 1.123  0.33
H -1.417 1.896 -0.575  0.31
H 0.337 1.932 0.041  0.32
H -0.312 -0.106 -1.424  0.23
H -1.887 -0.924 0.945  0.24
H -1.623 -1.737 -0.469  0.25
H 0.913 -1.684 0.142  0.33
H 0.811 -0.514 1.427  0.28
H 2.195 -0.237 -1.003  0.32
N -1.671 -0.784 -0.059  -0.68
O 1.982 0.063 -0.059  -0.53

=====

Record 4
The following is a DFT calculation (wB97M-V/def2-TZVPD) of a 5-piece molecular cluster, H8IO4 overall.

Computed properties:
Total charge: -1
Gap between HOMO and LUMO (eV): 8.08
Relative energy (zero: lowest compared OMol25 entry of this formula, charge and spin) (kcal per mole): 7.09
HOMO energy (eV): -4.62
LUMO (eV): 3.46

Last column: Mulliken charge in e.
Element x y z (Å)
I -0.936 0.521 0.180  -0.72
O 1.144 -2.454 -0.915  -0.62
H 0.659 -1.639 -1.045  0.28
H 2.063 -2.187 -0.898  0.29
O 0.468 1.235 3.256  -0.62
H -0.155 0.709 2.755  0.26
H 0.345 2.127 2.931  0.32
O 1.626 3.048 -0.811  -0.64
H 1.836 2.730 -1.689  0.30
H 1.102 2.349 -0.421  0.24
O -3.086 -2.185 -1.239  -0.65
H -2.345 -2.765 -1.413  0.32
H -2.723 -1.489 -0.691  0.24